“How To Remain Positive In The Face Of Evil” (from my book)
BOSTON reminds us of the World Trade Center act.
At 9:03 A.M., I saw the second plane in a precise angle purposely crash and disappear into the South Tower. I yelled for my wife, who was then taking her turn in the bathroom, to see what had happened. We heard about two more plane crashes that day: the Pentagon was hit at 9:43 A.M. and the downing of the passenger jet in Somerset County, PA, took place at 10:10 A.M. I had witnessed a tragic, historical event that changed America and the world. The security and safety Americans
had taken for granted disappeared in the fireballs of four planes that crashed in New York City, Pennsylvania, and Washington, D.C.
_The article is interrupted by records of molecules_
=====
Entry 1:
Here is one molecule with the formula C20H31N5O4 from the OMol25 dataset. Energies are from wB97M-V/def2-TZVPD.

Properties
* frontier orbital gap: 9.030 eV
* LUMO: 0.4 eV
* E_HOMO: -8.67 eV
* SMILES string: CC(C)Cn1[nH]c(CC(=O)N2CC(CN(C)C(=O)CC(=O)NC3CC3)C2)cc1=O

CARTESIAN COORDINATES (ANGSTROEM)
H (-0.6610, -3.5636, 0.8549)
C (-4.3162, -3.9092, 3.6991)
H (-1.3203, -5.2635, -0.8839)
C (1.0593, 0.3015, 3.1804)
C (-0.8865, -7.3964, 3.0654)
C (-2.6638, 0.1954, 5.3610)
C (0.7203, -2.1845, 3.7979)
C (0.9459, -3.4352, 3.0787)
H (-2.4777, -8.9667, 3.0027)
H (2.0576, 0.7179, 3.0343)
H (0.2242, -1.8458, -0.7322)
H (-2.2075, 0.8823, 3.2779)
H (-5.7137, -2.5287, 5.9785)
H (-1.0563, -2.8074, -1.4809)
C (-1.4414, 0.8678, 6.0389)
H (-3.5665, 0.8050, 5.3277)
O (-4.7637, -6.0050, 2.7294)
H (-4.7676, -3.3524, 2.8727)
H (0.2734, -2.1193, 4.7735)
C (1.0814, -1.1800, 2.9807)
H (2.2101, -3.6139, -0.0121)
C (0.0401, -3.8600, 0.0668)
C (-2.2070, -8.0155, 3.4384)
H (-5.4324, -0.8025, 5.7339)
C (-1.8591, 0.1771, 4.0351)
H (0.4009, 0.7462, 2.4279)
C (-2.1583, -6.8220, 2.5332)
C (-0.3445, -5.2622, -0.3951)
C (-2.9388, -1.1798, 5.9375)
H (-0.3594, -6.8160, 3.8084)
H (-0.2518, -7.9286, 2.3704)
C (-5.2726, -1.7901, 5.3049)
O (0.6329, -4.5851, 3.3389)
C (-0.0461, -2.8471, -1.0702)
N (-0.7076, 0.6685, 4.7956)
C (-3.3164, -3.0133, 4.3971)
H (-5.1447, -4.1481, 4.3661)
H (-2.5790, -7.8442, 4.4387)
H (0.6305, -3.1279, -1.8823)
H (-1.0120, 0.3387, 6.8915)
C (0.6202, 0.7121, 4.5763)
H (-2.0036, -1.7318, 6.0247)
N (1.5804, -3.0638, 1.8929)
C (-3.8815, -5.2547, 3.1154)
H (-2.4024, -6.9824, 1.4905)
H (1.6606, -4.8978, 1.0621)
H (-1.7223, -0.8131, 3.5977)
O (-2.1056, -3.1653, 4.3064)
N (1.5005, -1.6699, 1.7498)
H (-0.3805, -5.9494, 0.4504)
H (0.3860, -5.6428, -1.1153)
H (2.3751, -1.2741, 1.4188)
H (-1.8874, -4.8754, 3.3703)
N (-3.8421, -1.9848, 5.1267)
N (-2.5723, -5.5531, 3.0539)
H (-3.3613, -1.0784, 6.9420)
C (1.4364, -3.8920, 0.7084)
H (-5.7992, -1.8238, 4.3527)
H (-1.5712, 1.9197, 6.2978)
O (1.4126, 1.0579, 5.4340)

=====

Entry 2:
Here is C10H10F5GdN as an isolated structure in a non-equilibrium geometry from the OMol25 dataset. Energies are from wB97M-V/def2-TZVPD.

Properties
* spin multiplicity: 8
* frontier orbital gap (alpha / beta): 5.962 / 6.144 eV
* LUMO (alpha / beta): 2.9 / 2.9 eV
* E_HOMO (alpha / beta): -3.09 / -3.25 eV
* net charge: -1

CARTESIAN COORDINATES (ANGSTROEM)
H (-1.7406, 1.7574, -1.7961)
F (1.8609, 0.5004, 2.9488)
F (0.2352, -1.7617, 3.2998)
H (0.5271, -3.0913, 0.9303)
H (-1.3711, 2.4688, -0.0722)
C (-1.0278, 1.9606, -0.9935)
H (2.2899, 1.6442, -0.8739)
C (-0.2370, -0.4886, 3.5121)
F (-0.1402, -0.2229, 4.8293)
H (1.8110, 2.5840, -2.9481)
C (0.1393, -2.4707, 0.1170)
N (1.3297, 1.4101, -0.6363)
H (0.3085, -0.9390, -2.8836)
C (-1.2429, -2.2117, -0.1706)
C (0.5202, 0.5207, 2.6410)
F (-1.5822, -0.4852, 3.1789)
C (0.0257, -1.3520, -1.9176)
C (0.3822, 2.0468, -1.4128)
C (-1.3177, -1.5102, -1.4244)
C (0.9220, -1.9333, -0.9601)
H (2.0015, -2.0440, -1.0864)
=====
_Here the article continues_
I was thankful that I had no relatives who were lost in the World Trade Center attacks. Yet, I felt that a part of me died that day. My belief in mankind was shaken.
In the following days and weeks, New Yorkers and Americans experienced pain that seemed endless as the country witnessed the devastation of the attacks. Rescuers worked day after day in a painstaking search for all the victims.
The craziness of the world’s brutality had finally reached our streets and lives. How could it happen? Terrorism was never supposed to be this close to our homes. Bombs and terrorist acts had always been things that happened in far away places. I had only heard about violence in some other country, some other place, but I was not prepared to witness almost three thousand people dying in New York City.
How do you keep from having this horrific attack drain your energy and affect your emotions? How can you keep motivated to achieve positive action? How can you forge ahead? It is hard not to dwell on the uncertainty of future terrorist acts against Americans. How can we not be
consumed with worry and doubt?
You must first put your faith and trust in God, believing that good prevails over evil. You have to have faith in the government, the president, our elected officials, and our proven democracy. The 9/11 attack on our buildings and cities was the warning bell alerting us to protect our
democracy from those who hate democratic principles and ideals.
9/11 does not have to drive us to hate. If others hate America and perceive it as being too selfish, then this is the time for Americans to help other people in other countries in new ways. America needs to be that special light in the world that shows others that democracy is always a better choice, rather than terrorism, hatred, and all forms of tyranny.
9/11 is a reminder that we should live to do more each day because each day is a blessing not be taken lightly. Being alive means you have been given more time to accomplish more good things in your life. Your life multiplied by time equals greater accomplishments.
Remember the Parable of the Talents and the son that hid his talents so not to risk losing them? Meanwhile, his other brother multiplied his talents by using them. The lesson is that you have talents that should be used. I believe many people never use their talents to their fullest extent.
_The text is interrupted by data records_
'''
162
Properties=species:S:1:pos:R:3:forces:R:3 method="wB97M-V/def2-TZVPD" charge=0 total_energy_ha=-2759.51396 smiles=COC[C@H](C)N.COC[C@H](C)N.COC[C@H](C)N.COC[C@H](C)N.COC[C@H](C)N.COC[C@H](C)N.COCCNCCOC.CC(C)O.CC(C)O.CC(C)O max_force_ev_per_a=2.7
C -5.1844 -8.2659 -6.6452 -0.2 0.4 -0.9
O -4.9915 -7.1301 -5.8550 -0.6 0.3 0.6
C -3.7386 -7.1292 -5.2333 0.3 0.2 -0.3
C -3.4220 -5.7562 -4.6438 0.9 -0.4 -1.3
C -2.8288 -4.8782 -5.7518 -0.4 0.8 0.1
N -2.3414 -5.9666 -3.6652 -1.1 0.0 0.3
H -4.6584 -8.0998 -7.5853 0.2 -0.3 -0.3
H -6.2445 -8.3139 -6.8942 0.0 -0.2 0.2
H -4.8302 -9.2013 -6.2118 -0.1 0.0 0.3
H -3.7086 -7.9235 -4.4874 0.1 -0.1 0.3
H -2.9850 -7.3263 -5.9958 0.4 -0.3 0.0
H -4.3576 -5.3703 -4.2389 0.0 0.4 0.1
H -2.6617 -3.8628 -5.3924 0.0 0.1 0.2
H -3.4610 -4.7558 -6.6312 -0.2 -0.3 0.0
H -1.8496 -5.2404 -6.0651 -0.1 -0.3 0.1
H -2.8369 -6.4397 -2.9231 0.4 -0.5 0.6
H -2.1207 -5.0788 -3.2371 0.3 0.4 -0.1
C 6.7945 8.3411 -0.8658 0.6 0.7 0.8
O 5.9006 7.5731 -0.0987 -0.5 -0.2 -0.2
C 5.9182 7.8088 1.3016 1.0 -0.3 0.5
C 4.7386 7.0877 1.9434 -0.2 -1.1 0.1
C 5.0223 5.5617 1.9089 0.2 -0.5 -0.5
N 3.5179 7.4825 1.2277 0.4 -0.6 0.3
H 6.7283 8.1540 -1.9376 -0.2 -0.5 0.3
H 7.8109 8.2122 -0.4939 0.3 -0.5 -0.3
H 6.6544 9.4116 -0.7153 -0.5 0.3 0.0
H 6.8193 7.3840 1.7438 0.5 -0.1 -0.1
H 5.9729 8.8712 1.5392 -0.4 0.3 -0.2
H 4.6462 7.2621 3.0154 0.2 0.7 0.0
H 5.0610 5.1093 0.9180 0.0 0.5 -0.4
H 4.3560 4.8821 2.4402 -0.4 0.6 0.3
H 6.0102 5.3732 2.3293 0.1 0.1 0.1
H 3.3375 8.4533 1.4401 -0.2 0.2 0.1
H 3.9337 7.5029 0.3074 -0.9 0.1 -0.9
C -6.6465 0.5204 -9.1378 -0.1 -0.8 0.0
O -5.3350 1.0634 -9.0039 -0.7 0.1 -0.1
C -5.0879 1.4351 -7.6539 0.2 -0.5 0.0
C -3.8346 2.3033 -7.5285 1.9 -0.7 -0.9
C -2.5298 1.5667 -7.8392 -0.6 -0.8 -1.0
N -3.6934 2.7907 -6.1779 -2.1 0.5 0.3
H -6.7340 -0.0793 -10.0438 0.4 0.2 -0.2
H -7.4953 1.2043 -9.1327 0.4 0.8 -0.1
H -6.9106 -0.1650 -8.3324 0.4 -0.2 0.4
H -5.9691 1.9634 -7.2899 0.0 0.3 0.3
H -4.9767 0.5199 -7.0725 0.0 -0.1 0.3
H -3.9940 3.0929 -8.2629 0.2 0.3 -0.2
H -2.7391 0.9642 -8.7231 0.4 -0.3 -0.1
H -2.2502 0.9148 -7.0116 -0.2 -0.1 0.0
H -1.6562 2.1721 -8.0812 -0.3 0.4 0.1
H -4.5175 3.3717 -6.2360 -0.3 0.7 1.6
H -2.9294 3.4287 -6.0063 0.3 -0.1 -0.5
C 1.4381 5.7870 -4.7371 -0.6 -1.0 -0.4
O 0.7793 6.6425 -5.6631 0.8 0.6 0.1
C 1.6703 7.0085 -6.7193 -0.4 -0.1 -0.7
C 1.0752 8.0999 -7.6047 -1.2 2.0 -1.0
C -0.2883 7.9287 -8.2925 -0.1 -1.6 1.4
N 1.8880 8.5214 -8.7466 1.6 -0.7 0.1
H 2.3618 6.1460 -4.2832 0.0 0.5 -0.2
H 1.6402 4.8477 -5.2517 0.5 -0.2 -0.1
H 0.7623 5.4732 -3.9415 -0.2 0.6 0.0
H 2.6254 7.3732 -6.3414 0.1 0.2 0.4
H 1.9459 6.1420 -7.3204 -0.2 -0.4 -0.2
H 1.0178 9.0232 -7.0281 -0.5 -0.2 1.0
H -0.6689 8.8267 -8.7792 0.2 0.1 0.3
H -0.9659 7.5685 -7.5184 -0.5 0.2 -0.2
H -0.2084 7.1487 -9.0497 0.0 0.0 -0.1
H 1.3746 9.2523 -9.2181 0.0 0.0 -0.1
H 2.7064 8.9757 -8.3672 0.5 0.1 -0.3
C -7.7769 -3.7576 -0.8098 0.6 0.9 -1.3
O -7.3256 -2.5263 -1.4221 0.1 -0.1 0.7
C -7.1049 -1.5052 -0.4492 0.5 0.2 -0.6
C -6.4606 -0.2255 -1.0892 -1.3 0.1 -0.8
'''
_The text goes on_
That means that there are billions of people in the world who are living lives below their potential. The great tragedy is that many don’t care. They get up, do some work, and go to sleep having done the minimum.
Imagine how much better the world would be if some of those billions of people started working to attain new goals for themselves and were driven to achieve greatness.
The whole world would improve as billions of people start to excel, discover new inventions, and make the entire A better place.
By using your talents and developing new skills, not only do you reap greatness, you can change the world and make it a better place.
“There comes a time in a man’s life when to
get where he has to go-if there are no doors
or windows-he walks through a wall.”
--Bernard Malamud
American Author
I believe that the victims of 9/11 and all of our friends and relatives who have passed on are looking down on you I believe in God and in the hereafter. I truly believe there is much more than this here-and-now, our flesh and bones, and our time we are given on earth. I believe our
### Between two parts of the piece: molecular data
........
Record 1
Computed, not measured: 2 unconnected molecules or ions with the total composition CH2INO2 in a non-equilibrium geometry, with ωB97M-V with the def2-TZVPD basis set.

The geometry in XYZ format:
```
7
Properties=species:S:1:pos:R:3:forces:R:3
C -1.56193 -0.91140 -0.39773 -1.144 -1.151 0.127
N -0.44706 -0.96089 0.01690 0.340 -0.475 -0.117
O -2.63994 -1.13728 -0.79323 0.094 0.660 -0.239
O 1.05385 1.19695 0.61622 -0.269 -0.358 1.051
I 2.45398 0.13414 -0.20145 1.424 -0.204 -0.555
H 0.12056 -0.36000 0.56775 -0.376 0.533 0.278
H 1.02053 2.03849 0.19155 -0.070 0.996 -0.545
```
Positions in Å, forces in eV/Å.

Computed properties:
E_LUMO (eV): -1.0015
Highest occupied orbital energy (eV): -9.82
Orbital gap (Ha): 0.324
E_tot (Eh): -542.19218
Relative energy (zero: lowest compared OMol25 entry of this formula, charge and spin) (kJ/mol): 90.0
SMILES: N=C=O.OI

---

Record 2
Computed, not measured: a single C13H11F3N2OS molecule in a non-equilibrium geometry, with ωB97M-V with the def2-TZVPD basis set.

The geometry in XYZ format:
```
31
Properties=species:S:1:pos:R:3:forces:R:3
O 0.17322 -3.57803 0.34134 2.489 -2.056 3.951
F 0.18666 2.97763 -2.18607 1.185 -0.787 1.320
F -1.83651 2.77129 -1.91181 -0.534 -1.507 -0.322
F -0.65745 1.58406 -3.53391 -1.344 0.406 2.099
S -0.91388 -0.81898 -1.99794 -0.057 1.246 -1.432
C -0.38929 -3.03495 -0.53169 -1.409 -1.658 -2.800
C -0.45187 -1.62554 -0.60543 -0.417 2.988 0.613
C -0.09989 0.62887 -0.03059 -1.389 0.364 -0.355
C -0.15390 -0.71862 0.42932 0.635 -2.373 -0.207
C -0.61166 0.74768 -1.34001 0.968 -0.207 1.686
C 1.59037 3.92982 1.99268 0.553 1.227 2.616
C 0.32641 4.04285 1.44077 0.093 -0.022 0.053
C 2.19933 2.69878 2.22240 0.910 -2.362 -2.825
C -0.35781 2.94676 0.94064 1.277 0.232 -1.320
C 1.63514 1.59566 1.48903 -1.357 1.841 0.182
C 0.35468 1.75494 0.81489 1.658 -0.769 1.272
N 0.20502 -1.22637 1.69642 -0.035 -0.240 0.828
N -0.90372 -3.83501 -1.54867 -0.178 0.795 0.551
C -0.74029 2.01370 -2.14439 0.472 0.530 -3.376
C -1.01477 -5.27762 -1.41101 2.370 0.146 -4.234
H 2.01780 4.83481 2.51429 -0.302 -0.918 -1.017
H -0.09472 5.02162 1.30217 -0.192 0.262 0.212
H 3.29317 2.48519 2.49773 -1.903 0.973 0.250
H -1.21328 3.15500 0.30978 -0.368 -0.362 0.467
H 2.20296 0.68060 1.38412 -0.245 -0.078 0.066
H 0.34207 -2.25816 1.78094 -0.185 1.306 -0.972
H -0.40295 -0.97476 2.47531 0.283 0.620 -0.416
H -1.74301 -3.45720 -1.90592 -0.788 0.510 -0.786
H -0.13821 -5.80559 -1.94082 -0.915 0.985 0.536
H -1.84011 -5.53970 -2.04513 -0.687 -0.491 0.268
H -0.96353 -5.71873 -0.49846 -0.588 -0.602 3.091
```
Positions in Å, forces in eV/Å.

Computed properties:
E_LUMO (eV): -0.2470
Highest occupied orbital energy (eV): -8.54
Orbital gap (Ha): 0.305
E_tot (Eh): -1384.48836
Relative energy (zero: lowest compared OMol25 entry of this formula, charge and spin) (kJ/mol): 6.1
SMILES: CNC(=O)c1sc(C(F)(F)F)c(-c2ccccc2)c1N

---

Record 3
........
time on earth is a test, and we get a score as to how well we have used our talents.
9/11 taught the whole nation about getting through grief and moving forward with a new determination to stand strong for freedom, democracy, and the noble goals of America. Americans had a choice -- to give in to the many heartless and cold-blooded killers holed
up throughout the world, or to take freedom, democracy, and the good things about America to other parts of the world.
You have choices in your life, too. You can be a follower or you can lead others with your creative imagination and example. You can be average or you can “be different” by attaining greater goals. You can be mediocre or you can attain greatness. I choose to be different in order to achieve greatness.
“Man’s happiness in life is the result of
man’s own effort and is neither the gift
of God nor a spontaneous natural product.”
--Ch’en Tu-hsiu
Chinese Editor
You are like the tree that is destined to grow tall, the bird that soars high, and the water that flows with new life to quench the thirst of others.
Your very birth was a fabulous miracle. You have the talents to do the extraordinary. By using your creative imagination, your life will become an outpouring of miracles that will help others.
Your opportunities abound. May you soar to greatness every day.